Read Books Novel

Monsters of Men

“If you hadn’t killed all the ones in town,” I say, “you coulda asked.”

He ignores me. “All of which adds up to the fact that our enemy gets more formidable by the moment.”

I frown. “You sound almost happy.”

Captain O’Hare comes back over to us, his hands full and his face sour. “Blankets and food, sir,” he says. The Mayor nods towards me, forcing Mr O’Hare to hand them over to me himself. He does and then storms away again, tho like Mr Tate, you can’t hear his Noise to see what’s making him so mad.

I spread the blanket over Angharrad, but she still ain’t saying nothing. Her wound is healing already so it ain’t that. She just stands there, head down, staring at the ground, not eating, not drinking, not responding to nothing I do.

“You could tie her up with the other horses, Todd,” the Mayor says. “She’d at least be warmer that way.”

“She needs me,” I say. “I gotta stick by her.”

He nods. “Your loyalty is admirable. A fine quality I’ve always noticed in you.”

“Seeing as you don’t got none at all?”

In reply, all he does is smile that smile again, that one that makes you want to knock his head right off. “You should eat and sleep while you can, Todd. You never know when the battle will need you.”

“A battle you started,” I say. “We wouldn’t even be here if you hadn’t–”

“Here we go again,” he says, his voice sharper. “It’s time you stopped whining about what might have been and start thinking about what is.”

And this makes me a little mad–

And so I look at him–

And I think about what is–

I think about him falling in the ruins of the cathedral after I blasted him with Viola’s name. I think about him shooting his own son without even pausing for thought–


I think about him watching Viola struggle under the water in the Office of the Ask as he tortured her. I think about my ma talking about him in her journal when Viola read it to me and what he did to the women of old Prentisstown–

## Unrelated to this piece: crystal structures
........
# 1
VASP calculation (GGA-PBE) on a relaxed CsGe crystal.

CIF file:
```
data_CsGe
_chemical_formula_sum 'Cs2 Ge2'
_cell_length_a 6.934
_cell_length_b 6.934
_cell_length_c 6.934
_cell_angle_alpha 145.23
_cell_angle_beta 124.70
_cell_angle_gamma 67.00
_symmetry_space_group_name_H-M 'P 1'
_symmetry_Int_Tables_number 1
_symmetry_space_group_name_Hall 'P 1'
loop_
_atom_site_label
_atom_site_type_symbol
_atom_site_fract_x
_atom_site_fract_y
_atom_site_fract_z
_atom_site_occupancy
Cs1 Cs 0.339 0.089 0.250 1
Cs2 Cs 0.661 0.911 0.750 1
Ge1 Ge 0.060 0.310 0.750 1
Ge2 Ge 0.940 0.690 0.250 1
```

**DOS at the Fermi energy**: 0.5997 states/eV per atom
**Total DFT energy (no corrections)**: -2.8577 eV per atom
**Crystal system**: orthorhombic
**Energy above the most stable polymorph in this dataset**: 0.19 eV/f.u.
**Space group**: Imma, No. 74



# 2
VASP calculation (GGA-PBE) on a relaxed CsGe3 crystal.

CIF file:
```
data_CsGe3
_chemical_formula_sum 'Cs1 Ge3'
_cell_length_a 6.817
_cell_length_b 6.817
_cell_length_c 6.817
_cell_angle_alpha 136.92
_cell_angle_beta 136.92
_cell_angle_gamma 62.56
_symmetry_space_group_name_H-M 'P 1'
_symmetry_Int_Tables_number 1
_symmetry_space_group_name_Hall 'P 1'
loop_
_atom_site_label
_atom_site_type_symbol
_atom_site_fract_x
_atom_site_fract_y
_atom_site_fract_z
_atom_site_occupancy
Cs1 Cs 0.000 0.000 0.000 1
Ge1 Ge 0.297 0.297 0.000 1
Ge2 Ge 0.500 0.500 0.000 1
Ge3 Ge 0.703 0.703 0.000 1
```

**DOS at the Fermi energy**: 0.5383 states/eV per atom
**Total DFT energy (no corrections)**: -3.2161 eV per atom
**Crystal system**: tetragonal
**Space group**: I4/mmm, No. 139



# 3
VASP calculation (GGA-PBE) on a relaxed CsGe2 crystal.

CIF file:
```
data_CsGe2
_chemical_formula_sum 'Cs1 Ge2'
_cell_length_a 7.155
_cell_length_b 7.155
_cell_length_c 7.155
_cell_angle_alpha 150.28
_cell_angle_beta 150.28
_cell_angle_gamma 42.54
_symmetry_space_group_name_H-M 'P 1'
_symmetry_Int_Tables_number 1
_symmetry_space_group_name_Hall 'P 1'
loop_
_atom_site_label
_atom_site_type_symbol
_atom_site_fract_x
_atom_site_fract_y
_atom_site_fract_z
_atom_site_occupancy
Cs1 Cs 0.000 0.000 0.000 1
Ge1 Ge 0.283 0.283 0.000 1
Ge2 Ge 0.717 0.717 0.000 1
```

**DOS at the Fermi energy**: 0.5041 states/eV per atom
**Total DFT energy (no corrections)**: -3.2520 eV per atom
**Crystal system**: tetragonal
**Energy above the most stable polymorph in this dataset**: 0.55 eV/f.u.
**Space group**: I4/mmm, No. 139



# 4
VASP calculation (GGA-PBE) on a relaxed CsGe crystal.

CIF file:
```
data_CsGe
_chemical_formula_sum 'Cs2 Ge2'
_cell_length_a 4.338
_cell_length_b 4.339
_cell_length_c 11.119
_cell_angle_alpha 95.17
_cell_angle_beta 91.79
_cell_angle_gamma 119.98
_symmetry_space_group_name_H-M 'P 1'
_symmetry_Int_Tables_number 1
_symmetry_space_group_name_Hall 'P 1'
loop_
_atom_site_label
_atom_site_type_symbol
_atom_site_fract_x
_atom_site_fract_y
_atom_site_fract_z
_atom_site_occupancy
Cs1 Cs 0.069 0.096 0.266 1
Cs2 Cs 0.931 0.904 0.734 1
........

“That isn’t true, Todd,” he says. “That’s not what happened–”

### Misplaced calculated crystals
____________
(1)
The following is a PBE calculation of PrPd3Au2 after structural relaxation, from Alexandria via LeMat-Bulk.

Properties
Space group: P6/mmm
Formation energy from the elements in eV/atom: -0.554
Electronic total energy in eV/cell: -30.2
Magnetic moment in μB/atom: 0.000
Density of states at the Fermi level in states/eV/f.u.: 2.97
E above lowest polymorph in meV/atom: 0

a = 4.5322 Å, b = 5.5015 Å, c = 5.5013 Å
α = 120.00°, β = 90.00°, γ = 90.00°
Fractional positions:
Pd 0.5000 0.5013 0.0000
Pd 0.5000 0.5013 0.5000
Pd 0.5000 0.0012 0.5000
Au 0.0000 0.3345 0.6666
Au 0.0000 0.6680 0.3334
Pr 0.0000 0.0012 0.0000

***

(2)
The following is a PBE calculation of HfNbIrCl2 after structural relaxation, from Alexandria via LeMat-Bulk.

Properties
Space group: P4/mmm
Electronic total energy in eV/cell: -27.7
Formation energy from raw total energies in meV/atom: 976
Magnetic moment in μB/atom: 0.513
Density of states at the Fermi level in states/eV/f.u.: 6.45

a = 4.7255 Å, b = 5.2004 Å, c = 4.7255 Å
α = 90.00°, β = 90.00°, γ = 90.00°
Site moments in Bohr magnetons follow the coordinates.
Fractional positions:
Ir 0.0000 0.0000 0.0000  0.04
Nb 0.5000 0.5000 0.5000  1.99
Cl 0.5000 0.0000 0.0000  0.00
Cl 0.0000 0.0000 0.5000  0.00
Hf 0.0000 0.5000 0.0000  -0.01

***

(3)
The following is a PBE calculation of HOsPdF2 after structural relaxation, from Alexandria via LeMat-Bulk.

Properties
Space group: P4/mmm
Electronic total energy in eV/cell: -22.6
Magnetic moment in μB/atom: 0.272
Density of states at the Fermi level in states/eV/f.u.: 6.35

a = 4.1929 Å, b = 3.5417 Å, c = 4.1929 Å
α = 90.00°, β = 90.00°, γ = 90.00°
Site moments in Bohr magnetons follow the coordinates.
Fractional positions:
H 0.0000 0.5000 0.0000  0.00
Os 0.0000 0.0000 0.0000  0.87
F 0.0000 0.0000 0.5000  0.03
F 0.5000 0.0000 0.0000  0.04
Pd 0.5000 0.5000 0.5000  0.39

***

(4)
The following is a PBE calculation of TbDy6Th after structural relaxation, from Alexandria via LeMat-Bulk.

Properties
Space group: P-1
Formation energy from the elements in eV/atom: 0.222
Electronic total energy in eV/cell: -37.9
Magnetic moment in μB/atom: 0.000
Density of states at the Fermi level in states/eV/f.u.: 14.85
E above lowest polymorph in meV/atom: 192

a = 6.6590 Å, b = 6.5571 Å, c = 6.7890 Å
α = 94.09°, β = 60.33°, γ = 87.98°
Fractional positions:
Dy 0.5776 0.7576 0.4905
Dy 0.5514 0.7497 0.9778
Dy 0.0907 0.7394 0.4768
Dy 0.9093 0.2606 0.5232
Dy 0.4486 0.2503 0.0222
Dy 0.4224 0.2424 0.5095
Tb 0.0000 0.5000 0.0000
Th 0.0000 0.0000 0.0000

***

(5)
The following is a PBE calculation of Na3SrS after structural relaxation, from Alexandria via LeMat-Bulk.

Properties
Space group: Pm-3m
Electronic total energy in eV/cell: -11.6
Formation energy from raw total energies in meV/atom: -361
Magnetic moment in μB/atom: 0.000
Density of states at the Fermi level in states/eV/f.u.: 3.63
E above lowest polymorph in meV/atom: 0

a = 5.6175 Å, b = 5.6175 Å, c = 5.6175 Å
α = 90.00°, β = 90.00°, γ = 90.00°
____________

I think about the two men who raised me, who loved me, and how Cillian died on our farm to buy me time to escape and how Davy shot Ben on the roadside for doing exactly the same thing. I think about Manchee, my brilliant bloody dog, dying after saving me, too–

“Those were nothing to do with me–”

I think about the fall of Farbranch. I think about the people there being shot while the Mayor watched. I think about–


He sends it, hard, straight into the middle of my head.

“Stop that!” I yell, flinching back.

“You give too much away, Todd Hewitt,” he snaps, finally almost angry. “How do you ever expect to lead men if you broadcast every last sentiment?”

=====
Entry one
Compound: Tl2ZnAg
Source: Alexandria
Functional: GGA-PBEsol
Structure: optimized geometry

a b c (Å): 5.6502 5.6502 5.6502
angles (deg): 135.88 135.88 64.16
Fractional positions:
Tl1 0.0000 0.0000 0.0000
Tl2 0.7500 0.2500 0.5000
Zn1 0.5000 0.5000 0.0000
Ag1 0.2500 0.7500 0.5000

magnetic moment: 0.00 μB/f.u.
Fermi-level density of states: 1.14 states/eV per cell

Entry two
Compound: Tl2ZnAg
Source: Alexandria
Functional: GGA-PBEsol
Structure: optimized geometry

a b c (Å): 8.9673 8.9673 8.9673
angles (deg): 21.67 21.67 21.67
Fractional positions:
Tl1 0.2489 0.2489 0.2489
Tl2 0.7511 0.7511 0.7511
Zn1 0.5000 0.5000 0.5000
Ag1 0.0000 0.0000 0.0000

magnetic moment: 0.00 μB/f.u.
Fermi-level density of states: 1.44 states/eV per cell

Relative energies, in eV/atom, with the most stable structure set to zero: entry one 0.014; entry two 0.000.

Entry one
Compound: AgW3
Source: Alexandria
Functional: GGA-PBEsol
Structure: optimized geometry

a b c (Å): 5.0924 5.0924 2.6617
angles (deg): 90.00 90.00 113.58
Fractional positions:
Ag1 0.0000 0.0000 0.0000
W1 0.0000 0.5000 0.5000
W2 0.5000 0.0000 0.5000
W3 0.5000 0.5000 0.0000

magnetic moment: 0.00 μB/f.u.
Fermi-level density of states: 2.58 states/eV per cell

Entry two
Compound: AgW3
Source: Alexandria
Functional: GGA-PBEsol
Structure: optimized geometry

a b c (Å): 2.7542 2.7542 9.7601
angles (deg): 90.00 90.00 120.00
Fractional positions:
Ag1 0.0000 0.0000 0.0000
W1 0.0000 0.0000 0.5000
W2 0.6667 0.3333 0.2512
W3 0.6667 0.3333 0.7488

magnetic moment: 0.00 μB/f.u.
Fermi-level density of states: 3.02 states/eV per cell

Relative energies, in eV/atom, with the most stable structure set to zero: entry one 0.000; entry two 0.011.

Entry one
Compound: Ag2W
Source: Alexandria
Functional: GGA-PBEsol
Structure: optimized geometry

a b c (Å): 5.2723 5.2723 5.2723
angles (deg): 102.05 102.05 125.62
Fractional positions:
Ag1 0.1484 0.6484 0.7967
Ag2 0.3516 0.1484 0.5000
Ag3 0.6484 0.8516 0.5000
Ag4 0.8516 0.3516 0.2033
W1 0.2500 0.2500 0.0000
W2 0.7500 0.7500 0.0000

magnetic moment: 0.00 μB/f.u.
Fermi-level density of states: 3.10 states/eV per cell

Entry two
Compound: Ag2W
Source: Alexandria
Functional: GGA-PBEsol
Structure: optimized geometry

a b c (Å): 4.5776 4.5776 2.6464
angles (deg): 90.00 90.00 120.00
Fractional positions:
Ag1 0.3333 0.6667 0.0000
Ag2 0.6667 0.3333 0.0000
W1 0.0000 0.0000 0.5000

magnetic moment: 0.01 μB/f.u.
Fermi-level density of states: 3.66 states/eV per cell

Relative energies, in eV/atom, with the most stable structure set to zero: entry one 0.124; entry two 0.000.

Entry one
Compound: Zn2AgW
Source: Alexandria
Functional: GGA-PBEsol
Structure: optimized geometry

a b c (Å): 2.7365 3.4990 6.1388
angles (deg): 90.00 90.00 90.00
Fractional positions:
Zn1 0.0000 0.0000 0.2497
Zn2 0.0000 0.0000 0.7503
Ag1 0.5000 0.5000 0.0000
W1 0.5000 0.5000 0.5000

magnetic moment: 0.00 μB/f.u.
Fermi-level density of states: 2.11 states/eV per cell

Entry two
Compound: Zn2AgW
=====

“I don’t expect to lead men,” I spit back.

“You were going to lead this army when you had me tied up, and if that day comes again, you’ll need to keep your own counsel, now won’t you? Have you kept up your practice with what I taught you?”

“I don’t want nothing you could teach me.”

“Oh, but you do.” He steps closer. “I’ll say it to you as often as it takes you to believe it: there’s power in you, Todd Hewitt, power that could rule this planet.”

“Power that could rule you.”

He smiles again, but it’s white hot. “Do you know how I keep my Noise from being heard, Todd?” he says, his voice all twisty and low. “Do you know how I keep everyone from hearing every last secret I’ve got?”


He leans forward. “With as little effort as possible.”

And I’m saying, “Get back!” but–

There it is again, right in my head, I AM THE CIRCLE AND THE CIRCLE IS ME–

But this time it’s different–

There’s a lightness–

A breath-stealing feeling–

A weightlessness to it that makes my stomach rise–

“I give you a gift,” he says, his voice floating thru my head like a cloud on fire. “The same gift I’ve given to my captains. Use it. Use it to defeat me. I dare you.”

I look into his eyes, into the blackness of them, the blackness that swallows me whole–


And that’s all I can hear in the whole world.


The town is eerily quiet as Acorn and I walk through it, some of it even silent, the people of New Prentisstown having fled into the cold night somewhere. I can’t imagine how terrified they must be, not knowing what’s happening or what might be waiting for them.

I look behind me as we ride through the empty square in front of the ruins of the cathedral. Hanging up there in the sky, above the still-standing bell tower, is another probe, keeping its distance from Spackle arrows but tracking me, watching me go.

But that’s not all I’ve got.

Acorn and I make our way out of the square and down the road that leads to the battlefield, closer and closer to the army. Close enough so I can see them waiting there. They watch me as I ride up, soldiers sitting on their camprolls, huddled around fires. Their faces are tired and almost shocked, looking at me like I could be a ghost coming out of the darkness.

“Oh, Acorn,” I whisper nervously. “I don’t really have a plan here.”

One of the soldiers stands as I approach, pointing his rifle at me. “Stop right there,” he says. He’s young, dirty-haired, with a fresh wound on his face, stitched badly by firelight.

“I want to see the Mayor,” I say, trying to keep my voice steady.

“The who?”

“Who is it?” another soldier asks, standing up, too, also young, maybe even as young as Todd.

“One of them terrorists,” the first one says. “Come here to set off a bomb.”

“I’m not a terrorist,” I say, glancing over their heads, trying to find Todd out there, trying to hear his Noise in the rising ROAR–

“Off the horse,” the first soldier says. “Now.”

“My name is Viola Eade,” I say, Acorn shifting beneath me. “The Mayor, your President, knows me.”

“I don’t care what yer name is,” says the first one. “Off the horse.”
